Tomorrow, I leave for Florida with Rachel to spend a vacation in Disney World. It feels very weird thinking that I am headed to the ‘happiest place on earth’ while knowing the devastation in New Orleans. The descriptions coming from inside the area are hellish at best. One man who is in charge of OC4 internet crisis control has become one of the most well known informants since he has been able to sustain an internet connection. Known as the Interdictor, the stories on his blog about the crime, the spread of corpses, and the rampant neglect by the National Guard are numbing, as if the articles on CNN and Reuters were not enough.
My friend, Molly, contacted me today and asked if I wanted to go help with the relief crews. I have to admit, I’ve thought about it more than once. While I continue to think about it, however, I am doing what those in the relief crews ask: donating money. If you feel so inclined, please help by making a donation to the Red Cross or other relief organization.
These donations are an incredible asset as our current administration continues to struggle with helping those in New Orleans. Normally, under these circumstances, I would leave all finger pointing behind. Bush, however, brought it upon himself in a speech that just makes my blood seethe. On ABC (via the BBC), Bush said:
Entry 1:
Diffraction record for Ta4AlCuN2. The powder diffraction line list is calculated, not measured: it uses a GGA-PBE-relaxed structure and λ = 1.5418 Å (Cu Kα).
No peak broadening, texture or thermal motion is included.

Crystal structure
a = 2.9670 Å, b = 2.9670 Å, c = 14.3946 Å
α = 90.00°, β = 90.00°, γ = 120.00°
Fractional coordinates of all 8 atoms:
Ta 0.0000 0.0000 0.1522
Ta 0.0000 0.0000 0.8478
Ta 0.6667 0.3333 0.3432
Ta 0.6667 0.3333 0.6568
Al 0.0000 0.0000 0.5000
Cu 0.6667 0.3333 0.0000
N 0.3333 0.6667 0.2478
N 0.3333 0.6667 0.7522

Largest 10 diffraction maxima, by angle, 2θ = 5–70°:
d_spacing	I_rel
7.197	22
3.599	19
2.570	22
2.530	21
2.399	21
2.265	100
1.754	15
1.606	16
1.484	19
1.358	13

Entry 2:
Diffraction record for TaInPO. The powder diffraction line list is calculated, not measured: it uses a GGA-PBE-relaxed structure and λ = 1.5418 Å (Cu Kα).
No peak broadening, texture or thermal motion is included.

Crystal structure
a = 4.1267 Å, b = 4.1267 Å, c = 7.9439 Å
α = 90.00°, β = 90.00°, γ = 90.00°
Fractional coordinates of all 8 atoms:
Ta 0.2500 0.7500 0.0000
Ta 0.7500 0.2500 0.0000
In 0.2500 0.2500 0.3749
In 0.7500 0.7500 0.6251
P 0.2500 0.2500 0.8095
P 0.7500 0.7500 0.1905
O 0.2500 0.7500 0.5000
O 0.7500 0.2500 0.5000

Largest 10 diffraction maxima, by angle, 2θ = 5–70°:
d_spacing	I_rel
7.944	44
3.972	35
2.862	40
2.739	100
2.648	20
2.352	57
2.063	47
1.831	17
1.642	37
1.628	19

Entry 3:
Diffraction record for PmTaNO. The powder diffraction line list is calculated, not measured: it uses a GGA-PBE-relaxed structure and λ = 1.5418 Å (Cu Kα).
No peak broadening, texture or thermal motion is included.

Crystal structure
a = 4.1186 Å, b = 4.1186 Å, c = 8.1193 Å
α = 90.00°, β = 90.00°, γ = 90.00°
Fractional coordinates of all 8 atoms:
Pm 0.2500 0.2500 0.1344
Pm 0.7500 0.7500 0.8656
Ta 0.2500 0.7500 0.5000
Ta 0.7500 0.2500 0.5000
N 0.2500 0.2500 0.4514
N 0.7500 0.7500 0.5486
O 0.2500 0.7500 0.0000
O 0.7500 0.2500 0.0000

Largest 10 diffraction maxima, by angle, 2θ = 5–70°:
d_spacing	I_rel
8.119	31
4.060	42
3.673	47
2.891	36
2.741	100
2.706	34
2.366	45
2.059	46
1.665	42
1.639	31

Entry 4:
Diffraction record for NbNi2TeSe2. The powder diffraction line list is calculated, not measured: it uses a GGA-PBE-relaxed structure and λ = 1.5418 Å (Cu Kα).
No peak broadening, texture or thermal motion is included.

Crystal structure
a = 7.2903 Å, b = 3.6944 Å, c = 10.1325 Å
α = 90.00°, β = 108.28°, γ = 90.00°
Fractional coordinates of all 12 atoms:
Nb 0.2161 0.2500 0.2093
Nb 0.7839 0.7500 0.7907
Ni 0.0471 0.2500 0.9337
Ni 0.4129 0.7500 0.4119
Ni 0.5871 0.2500 0.5881
Ni 0.9529 0.7500 0.0663
Te 0.2928 0.7500 0.0059
Te 0.7072 0.2500 0.9941
Se 0.0608 0.7500 0.3194
Se 0.4292 0.7500 0.6528
Se 0.5708 0.2500 0.3472
Se 0.9392 0.2500 0.6806

Largest 10 diffraction maxima, by angle, 2θ = 5–70°:
d_spacing	I_rel
9.621	30
6.704	100
3.207	26
2.973	23
2.905	32
2.527	29
2.478	33
2.134	19
2.026	34
1.847	24

Entry 5:
I don’t think anybody anticipated the breach of the levees. They did appreciate a serious storm but these levees got breached and as a result much of New Orleans is flooded and now we’re having to deal with it and will.
[Materials data, as found in the file]
____________
Record 1
Structure and simulated powder X-ray diffraction pattern of MgSc2V2O7 (the PBE+U geometry in the Materials Project; Cu Kα (weighted mean of Kα1 and Kα2)).

Structure:
```
data_MgSc2V2O7
_chemical_formula_sum 'Mg1 Sc2 V2 O7'
_space_group_name_H-M_alt 'P 1'
_space_group_IT_number 1
_cell_length_a 5.3297
_cell_length_b 5.7048
_cell_length_c 5.7049
_cell_angle_alpha 113.35
_cell_angle_beta 97.38
_cell_angle_gamma 97.25
loop_
_space_group_symop_operation_xyz
'x,y,z'
loop_
_atom_site_label
_atom_site_fract_x
_atom_site_fract_y
_atom_site_fract_z
Mg1 0.0000 0.0000 0.0000
Sc1 0.5003 0.5347 0.4673
Sc2 0.5004 0.8859 0.1165
V1 0.1238 0.9605 0.5270
V2 0.8766 0.4746 0.0426
O1 0.9995 0.2056 0.7960
O2 0.2395 0.6505 0.2362
O3 0.2728 0.8126 0.7626
O4 0.2751 0.1542 0.3360
O5 0.7249 0.6651 0.8480
O6 0.7277 0.2391 0.1901
O7 0.7610 0.7657 0.3520
```

Largest 10 diffraction maxima, sorted by position, 2θ = 5–70°:
| d [Å] | Position (°2θ) | I/Imax |
| --- | --- | --- |
| 5.137 | 17.26 | 57 |
| 3.509 | 25.38 | 96 |
| 3.338 | 26.71 | 100 |
| 2.943 | 30.37 | 32 |
| 2.595 | 34.56 | 24 |
| 2.165 | 41.71 | 24 |
| 2.015 | 44.98 | 40 |
| 1.814 | 50.31 | 42 |
| 1.681 | 54.59 | 26 |
| 1.549 | 59.69 | 28 |


Record 2
Structure and simulated powder X-ray diffraction pattern of V2Hg2O7 (the PBE+U geometry in the Materials Project; Cu Kα (weighted mean of Kα1 and Kα2)).

Structure:
```
data_V2Hg2O7
_chemical_formula_sum 'V8 Hg8 O28'
_space_group_name_H-M_alt 'P n m a'
_space_group_IT_number 62
_cell_length_a 19.2661
_cell_length_b 3.4573
_cell_length_c 12.0022
_cell_angle_alpha 90.00
_cell_angle_beta 90.00
_cell_angle_gamma 90.00
loop_
_space_group_symop_operation_xyz
'x,y,z'
'-x,-y,-z'
'-x+1/2,-y,z+1/2'
'x+1/2,y,-z+1/2'
'x+1/2,-y+1/2,-z+1/2'
'-x+1/2,y+1/2,z+1/2'
'-x,y+1/2,-z'
'x,-y+1/2,z'
loop_
_atom_site_label
_atom_site_fract_x
_atom_site_fract_y
_atom_site_fract_z
V1 0.0484 0.2500 0.0675
V2 0.2020 0.7500 0.0351
Hg1 0.0963 0.2500 0.3003
Hg2 0.2089 0.2500 0.7331
O1 0.0093 0.7500 0.0768
O2 0.0173 0.2500 0.6139
O3 0.0749 0.2500 0.5649
O4 0.1390 0.2500 0.0161
O5 0.2103 0.7500 0.8664
O6 0.2232 0.2500 0.4260
O7 0.2481 0.2500 0.1227
```

Largest 10 diffraction maxima, sorted by position, 2θ = 5–70°:
| d [Å] | Position (°2θ) | I/Imax |
| --- | --- | --- |
| 9.633 | 9.18 | 37 |
| 6.001 | 14.76 | 49 |
| 4.470 | 19.86 | 100 |
| 3.254 | 27.41 | 52 |
| 3.141 | 28.42 | 42 |
| 3.102 | 28.78 | 33 |
| 2.861 | 31.26 | 47 |
| 2.735 | 32.75 | 36 |
| 1.953 | 46.50 | 32 |
| 1.877 | 48.50 | 32 |


Record 3
Structure and simulated powder X-ray diffraction pattern of Ni3Ag2P3HO12 (the PBE+U geometry in the Materials Project; Cu Kα (weighted mean of Kα1 and Kα2)).

Structure:
```
data_Ni3Ag2P3HO12
_chemical_formula_sum 'Ni12 Ag8 P12 H4 O48'
_space_group_name_H-M_alt 'I m a 2'
_space_group_IT_number 46
_cell_length_a 13.4804
_cell_length_b 6.5771
_cell_length_c 10.7090
_cell_angle_alpha 90.00
_cell_angle_beta 90.00
_cell_angle_gamma 90.00
loop_
_space_group_symop_operation_xyz
'x,y,z'
'-x,-y,z'
____________
[Back to the text]
It’s one thing to stay quiet and another to lie in the face of so many deaths! But, I guess Bush has a track record of it.
In 2001, the Federal Emergency Management Agency ranked the potential damage to New Orleans as among the three likeliest, most catastrophic disasters facing this country.
In 2004, National Geographic did an entire article on what would happen in a hurricane disaster in New Orleans. The detail is prophetically chilling.
Scientists around the world have been declaring New Orleans’ environmental damage a huge problem for years.
Even worse, the money set aside to prevent this problem back in 1995 was funneled out of the Southeast Louisiana Urban Flood Control Project (SELA) beginning in 2003 in order to go towards the war in Iraq, the one we knowingly entered under false assumptions.
If that was not enough, Scott McClellan had the gall in a press conference today to state that those who have not received food, water, and medicine have ways to get it. Anyone watching CNN knows there are thousands of people stuck in New Orleans, told not to leave their houses so that they do not get mugged or raped, who are getting no help. He also refused to give answers to tough questions about white house budget cuts to SELA and other organizations.
Let us continue to keep those in New Orleans in our prayers and support them through our aid. When everyone has been taken care of, let us remember to return and focus on how this could have been better prevented so we do not repeat the mistakes of our predecessors.hurricanehurricanesgeorge bushselanew orleanslouisianadisasterred cross
These records of crystals were left in the piece by mistake >
- - -
# PrZn2PIr2
Simulated X-ray diffraction stick pattern, Cu Kα (weighted mean of Kα1 and Kα2). Input: a crystal structure in Alexandria, relaxed with GGA-PBE.
Peak positions follow from Bragg's law for the DFT cell and can differ from measured ones.

Structural model:
a = 4.4998 Å, b = 4.4998 Å, c = 5.6291 Å
α = 90.00°, β = 90.00°, γ = 90.00°
Sites, in units of the cell vectors:
Pr: 0.0000 0.0000 0.0000
Zn: 0.5000 0.5000 0.2269
Zn: 0.5000 0.5000 0.7731
P: 0.0000 0.0000 0.5000
Ir: 0.0000 0.5000 0.5000
Ir: 0.5000 0.0000 0.5000

Peak list (8 most intense, 2θ from 10° to 90°, low angle first)
index	d/Å	intensity
0 0 1	5.629	33
1 1 1	2.770	100
1 0 2	2.386	24
2 0 0	2.250	52
1 1 2	2.108	21
2 0 2	1.757	18
2 2 0	1.591	17
3 1 1	1.380	24

* * * * *

Record 1
Structure and computed powder XRD pattern of Fe2Mo3C (a crystal structure in Alexandria, relaxed with GGA-PBE; copper Kα).
No peak broadening, texture or thermal motion is included.

Peak list (6 most intense, 2θ from 10° to 90°, in order of rising 2θ)
| two_theta | I (rel.) | hkl |
| --- | --- | --- |
| 29.6 | 9 | 2 1 0 |
| 40.1 | 100 | 2 2 1 |
| 42.3 | 58 | 3 1 0 |
| 44.5 | 24 | 3 1 1 |
| 71.2 | 23 | 4 3 1 |
| 75.9 | 20 | 5 2 0 |

Structural model:
```
data_Fe2Mo3C
_cell_length_a 6.749
_cell_length_b 6.749
_cell_length_c 6.749
_cell_angle_alpha 90.00
_cell_angle_beta 90.00
_cell_angle_gamma 90.00
_space_group_name_H-M_alt 'P 41 3 2'
_space_group_IT_number 213
_space_group_name_Hall 'P 4bd 2ab 3'
loop_
_atom_site_label
_atom_site_type_symbol
_atom_site_fract_x
_atom_site_fract_y
_atom_site_fract_z
Fe1 Fe 0.070 0.070 0.070
Mo1 Mo 0.048 0.875 0.702
C1 C 0.125 0.625 0.875
```

***

Record 2
Structure and computed powder XRD pattern of FeC6N6 (a crystal structure in Alexandria, relaxed with GGA-PBE; copper Kα).
No peak broadening, texture or thermal motion is included.

Peak list (6 most intense, 2θ from 10° to 90°, in order of rising 2θ)
| two_theta | I (rel.) | hkl |
| --- | --- | --- |
| 15.5 | 100 | 1 0 0 |
| 17.7 | 62 | 0 2 0 |
| 22.5 | 43 | 1 1 -1 |
| 23.1 | 45 | 1 1 1 |
| 23.6 | 47 | 1 2 0 |
| 31.0 | 60 | 1 3 0 |

Structural model:
```
data_FeC6N6
_cell_length_a 5.711
_cell_length_b 10.025
_cell_length_c 6.310
_cell_angle_alpha 90.00
_cell_angle_beta 91.62
_cell_angle_gamma 90.00
_space_group_name_H-M_alt 'P 1 21/c 1'
_space_group_IT_number 14
loop_
_space_group_symop_operation_xyz
'x,y,z'
'-x,-y,-z'
'-x,y+1/2,-z+1/2'
'x,-y+1/2,z+1/2'
loop_
_atom_site_label
_atom_site_type_symbol
_atom_site_fract_x
_atom_site_fract_y
_atom_site_fract_z
Fe1 Fe 0.000 0.000 0.000
C1 C 0.172 0.167 0.003
C2 C 0.175 0.559 0.277
C3 C 0.175 0.559 0.733
N1 N 0.248 0.585 0.906
N2 N 0.249 0.585 0.107
N3 N 0.271 0.231 0.504
```

***

Record 3
Structure and computed powder XRD pattern of Fe2C3N6 (a crystal structure in Alexandria, relaxed with GGA-PBE; copper Kα).
No peak broadening, texture or thermal motion is included.

Peak list (6 most intense, 2θ from 10° to 90°, in order of rising 2θ)
| two_theta | I (rel.) | hkl |
- - -
So much for the records of crystals >
Update (09/02/2005): Hunter wrote a moving article today called ‘Left Behind‘ about the situation in New Orleans. Apparently, the thousands told to go to the the Convention Center still have not received adequate aid with the young and elderly now dying of dehydration. Also, here is another 2004 article about why FEMA is unable to cope with this natural disaster due to cuts by the Bush administration.